As an entrepreneur, you’re probably familiar with the term “building a brand.” Your marketing and advertising dollars are at work right now, doing just that. But you may not be quite as familiar with the concept of building a personal brand.

What Is a Personal Brand?

Your personal brand is unique to you. It’s what people see when they do a Google search on your name. It’s the impression they have of you when they hear your name or come in contact with you in some way. Your personal brand is just like your company’s brand, but it’s, well, personal. It captures the essence of you — what makes you who you are, different from anyone else.

You can use a personal brand to your benefit or detriment. If your personal brand is good, people like you and what you stand for, you have a positive image, and people you’ve done business with say good things about you, that’s great. You can use your brand to create more business. But if your personal brand is negative — think of pro football players who get themselves into legal trouble — it can hurt your business.

A solid personal brand is a mixture of talent and personality. It’s uniquely, authentically you.

'''
[1]
This record from the Open Molecules 2025 dataset describes one molecule with the formula C16H23NO4S. The level of theory is wB97M-V/def2-TZVPD.

Its SMILES is CCCCOc1ccc(NC(=O)CSCC(=O)OCC)cc1. The lowest unoccupied orbital energy is 0.57 eV. Its gap between HOMO and LUMO is 8.56 eV. Its max |F| is 0.6 eV Å⁻¹. The HOMO energy comes out at -7.99 eV. The value obtained for the relative energy (zero: lowest compared OMol25 entry of this formula, charge and spin) is 0.1147 eV.

```
45
C16H23NO4S | the Open Molecules 2025 dataset | wB97M-V/def2-TZVPD
C 6.652 0.021 1.046
C 5.424 -0.878 1.145
C 4.457 -0.705 -0.025
C 3.801 0.679 -0.054
O 2.819 0.787 -1.065
C 1.609 0.186 -0.901
C 0.763 0.229 -2.012
C -0.495 -0.326 -1.959
C -0.951 -0.939 -0.792
N -2.242 -1.479 -0.795
C -2.950 -1.985 0.241
O -2.553 -2.148 1.374
C -4.367 -2.371 -0.166
S -5.325 -0.922 -0.724
C -5.418 0.033 0.826
C -4.516 1.250 0.821
O -4.885 2.348 1.141
O -3.278 0.939 0.451
C -2.313 1.996 0.429
C -2.307 2.704 -0.916
C -0.113 -0.987 0.313
C 1.154 -0.430 0.261
H 7.348 -0.207 1.850
H 7.161 -0.135 0.098
H 6.377 1.069 1.123
H 5.749 -1.920 1.170
H 4.900 -0.674 2.082
H 3.672 -1.462 0.043
H 4.984 -0.861 -0.968
H 3.381 0.928 0.928
H 4.538 1.442 -0.317
H 1.121 0.708 -2.909
H -1.134 -0.289 -2.831
H -2.754 -1.337 -1.656
H -4.884 -2.836 0.673
H -4.356 -3.056 -1.014
H -6.449 0.356 0.963
H -5.121 -0.632 1.636
H -1.356 1.509 0.623
H -2.551 2.701 1.231
H -2.088 1.997 -1.712
H -3.276 3.163 -1.101
H -1.545 3.478 -0.914
H -0.455 -1.457 1.220
H 1.771 -0.487 1.142
```



[2]
This record from the Open Molecules 2025 dataset describes an isolated ion of composition C7H13N3 and charge +2. The level of theory is wB97M-V/def2-TZVPD.

Its total charge is +2. The lowest unoccupied orbital energy (spin up / spin down) is -8.35 / -11.95 eV. Its gap between HOMO and LUMO (spin up / spin down) is 7.02 / 7.22 eV. The spin multiplicity is 3. Its max |F| is 4.0 eV Å⁻¹. The expectation value of S² is 2.010. The HOMO energy (spin up / spin down) comes out at -15.37 / -19.17 eV. The value obtained for the relative energy (zero: lowest compared OMol25 entry of this formula, charge and spin) is 0.0000 eV.

```
23
C7H13N3 | the Open Molecules 2025 dataset | wB97M-V/def2-TZVPD
C -1.816 -1.082 -0.026
C -2.338 0.117 0.411
C -0.412 -1.350 0.083
C 1.884 -0.598 0.464
C -1.283 1.116 0.883
C 0.094 1.046 0.165
C -0.005 1.500 -1.267
N 0.548 -0.359 0.373
N -0.151 -2.586 -0.303
N 2.845 0.302 0.202
H -2.529 -1.938 -0.304
H -3.384 0.379 0.360
H 2.444 -1.495 0.675
H -1.587 2.092 0.713
H -1.241 1.038 2.013
H 0.879 1.530 0.763
H -0.919 1.015 -1.748
H 0.895 1.389 -1.790
H -0.319 2.577 -1.353
H -0.853 -3.295 -0.629
H 0.801 -2.784 -0.260
H 3.760 0.049 0.616
H 2.689 1.336 -0.040
```

=====

Entry 1:
9
Properties=species:S:1:pos:R:3 method="wB97M-V/def2-TZVPD" gap_ha=0.31138 e_above_lowest_ev=1.055 homo_energy_ev=-9.1 e_tot_ev=-34562.7352
N -1.437 0.239 -1.298
O 1.014 -0.230 0.757
P -2.459 0.147 -0.079
S -3.405 1.840 0.187
S -2.972 -1.681 0.453
'''

Why Build a Personal Brand?

A good personal brand has many benefits. It connects you with others and brings in more clients. When people agree to meet with you, they already have a favorable impression because they’re familiar with your brand — and they like what they see. A personal brand also helps establish credibility in your areas of expertise. If you’re looking for a new job, it may give you an edge, and if you’re already working, establishing a strong personal brand may help you secure your next promotion.

So how do you go about building a personal brand?

Six Steps to Establishing a Personal Brand

If you want to create a personal brand — or improve your existing one — follow these seven steps. Creating a good brand is like building a good reputation. It takes time and effort, but it’s worth it in the long run.

#1. Decide Which “You” You’re Marketing

Your personal brand is a reflection of who you are. Before creating one, you need to decide what aspects of yourself you want to be reflected in your brand. It’s critical to be authentic in this exercise because most consumers can smell a fake. Trying to force yourself into a brand that isn’t really you will only cause problems in the future and may ultimately negatively impact your brand.

You also need to decide how you want to use your personal brand. Are you building an existing business? Or starting a new one?

Ask yourself these questions:

  • What impact do I hope to have through my brand?
  • What are my main career goals?
  • What industries am I most familiar with?
  • What drives me to succeed?
  • What’s my best personality trait?

As you answer these questions and others, you’ll begin putting together the puzzle that will become your personal brand.

#2. Figure Out How You Stand Out

Every person is unique. Take some time to understand your strengths. What do you do better than anyone else? What special knowledge do you have that others don’t? Are there ways to combine your talent and skills to create or do something new and different? Perhaps you have a unique perspective on everyday issues.

All this is food for thought when thinking about the main message for your personal brand. You want to tell people how and why you’re different and the best at what you do.

#3. Select Your Audience

Your personal brand is best aimed at a specific audience segment. Whom are you trying to reach? Employ a laser focus to hone in on your niche, rather than taking a scattergun approach. Niche audiences have needs that are unique and specific. The more targeted your brand message is, the more likely you’ll reach the consumers you intend to.

#4. Optimize Your Online Presence

One of the key components of building a solid personal brand is online presence. Once you have your message down and know your audience, get busy optimizing your social media pages to support your brand. This includes business and personal websites and pages. Your message should be consistent across all platforms, including your website, LinkedIn, Facebook, Twitter, Instagram/TikTok, etc. Use professional headshots when appropriate and clearly state your message. Don’t forget to include a call to action. Let people know what the next step is and what action you want them to take.

#5. Develop Fresh Content and Keep It Coming

The goal of good content should be to establish you and your brand as an expert in your field. This means you’ll need to develop a robust content strategy that includes helpful information that pertains directly to the challenge you’re trying to solve for your customers. By creating content that adds value for customers and prospects, you’re establishing yourself as an authority in your field. This builds trust with your target audience. Make the content useful and give it away freely.

Consider publishing different types of content, too. Social media posts on Facebook, LinkedIn, and Twitter are great, but you’ll reach more prospects with videos and images. Don’t forget that YouTube is now one of the most significant search engines on the internet. Use it if it makes sense for you.

Once you’ve put content out there, keep it coming. When someone searches for you or your product or service, you want them to feel like you’re relevant and active right now. Engage with your audience when you can. Publish new content frequently, mix it up on different social platforms, and always do your best to add value for your readers.

#6. Build a Community

If you’ve done everything right thus far, you should be well on your way to this last step. Building a community is critical if you plan to launch new products or services, publish a book, or start a new business venture. Your community is essentially your band of followers and supporters. They know you, and you’ve made an effort to get to know them too. This is where the real power of the personal brand comes into play.

Formalize your community by using LinkedIn Groups, hosting webinars, or scheduling meetups in local (physical) communities. The more you engage with your audience, the stronger your personal brand will become.

Building a personal brands pays off in many ways. You’ll make more sales, expand your network, supercharge your career, and attract new opportunities. Who knows where all that will take you?